Emily Haisman is a third-year student at DMU currently studying Psychology. She shared her experience of studying at Northern Kentucky University in the USA.
I knew travelling and spending a year on exchange was something I wanted to do and when I was applying to DMU I wanted to make sure that was an option. Because of COVID I had been a bit unsure about moving overseas.
But it was when I was looking at housing for my final year at DMU that I thought ‘I just have to apply’. When I was younger I’d see American colleges on film and watch videos of American campus life on social media and it was something I really wanted to experience.
I applied for one US university and I was waiting and waiting to hear back. Then at the final minute the university decided, because of COVID, that they were not going to allow overseas students to travel there.
I was devastated and it was a stressful 24 hours but DMU Global got in touch and said there was a space at the Northern Kentucky University (NKU) and did I want to go?
The DMU Global team and NKU made things very easy for me. I arrived at the end of August 2021. The first thing that hit me was how much warmer it was. I didn’t expect that. And the people were so helpful. I already knew who my room mates would be and so that was all fine. I arrived a week into term so lectures were already underway, which meant the campus was busy and I could hit the ground running.
There were so many events happening and I really liked the teaching in Psychology. It felt like I was back in school in a way. I was so used to big classes and lectures but at NKU groups were a lot smaller and it was just like the films I had seen about American high school – with the one arm flip down desks and all the professors knowing your name.
**Between two parts of the entry: quantum chemistry results:**
********
Entry 1:
# C8H8N2O3P2

C8H8N2O3P2 in the gas phase at a distorted geometry (ωB97M-V/def2-TZVPD, OMol25).

```
23
Properties=species:S:1:pos:R:3:forces:R:3:mulliken_charge:R:1
O 2.909 -0.519 -0.499 1.5462 1.9969 4.9997 -0.620
P 3.280 -0.009 0.980 0.7638 -3.0226 -6.6203 0.835
O 4.179 1.477 0.797 -2.0062 -1.5892 0.0502 -0.515
O 4.229 -1.262 1.731 -0.4014 2.4786 -2.1335 -0.503
P 1.330 0.292 1.997 -1.4712 1.5478 0.1409 -0.110
C 0.103 0.580 0.512 -0.4895 1.3401 -3.4567 0.205
C 0.579 1.778 -0.551 -3.7913 -2.8990 -0.0461 -0.140
C -0.368 2.076 -1.855 -1.8089 -3.4944 2.7074 -0.406
C -1.731 1.183 -2.035 2.4741 0.5328 1.5413 -0.375
C -2.232 -0.014 -0.986 1.1875 1.1145 -0.5123 0.446
N -3.499 -0.735 -1.350 3.5147 -2.2668 6.0906 -0.499
C -3.761 -1.799 -0.321 1.7252 1.7443 -0.1806 -0.111
C -2.867 -2.104 1.004 1.6764 2.7134 -1.8558 -0.147
N -1.609 -1.354 1.335 -4.2036 0.2882 -4.8043 -0.404
C -1.285 -0.311 0.302 -0.0200 0.3027 -0.3919 0.275
H 3.808 2.018 0.020 0.6337 -1.6301 1.5441 0.372
H 4.801 -1.638 0.972 -1.3147 0.8793 1.4363 0.355
H 0.939 -0.893 2.722 0.4590 0.1539 -1.1100 0.129
H 1.584 2.387 -0.408 -2.4550 -1.5203 -0.1591 0.059
H -0.037 2.910 -2.624 -0.9648 -2.0481 1.7252 0.287
H -2.403 1.381 -2.999 1.5941 -0.5454 2.4549 0.271
H -4.725 -2.481 -0.490 2.3505 1.7853 0.3217 0.291
H -3.223 -2.962 1.745 1.0014 2.1379 -1.7419 0.306
```
Forces are in eV/Å.

Output
Gap between HOMO and LUMO in eV: 6.68
Net charge: 0
E_tot in eV: -36115.43681
SMILES: O=P(O)(O)Pc1cccc2nccnc12


Entry 2:
# CH3NS

CH3NS in the gas phase at a distorted geometry (ωB97M-V/def2-TZVPD, OMol25).

```
6
Properties=species:S:1:pos:R:3:forces:R:3:mulliken_charge:R:1
C 1.575 -0.192 -0.007 2.3853 -0.9051 0.1632 -0.174
N 0.604 0.559 0.008 -3.0051 1.4618 -0.1568 -0.332
S -1.009 -0.171 -0.002 0.3594 1.5629 0.0674 -0.145
H 2.599 0.184 -0.018 -0.1888 0.6318 -0.0121 0.240
H 1.588 -1.249 0.032 -0.5475 -1.4433 -0.0668 0.235
H -1.727 1.043 0.001 0.9967 -1.3082 0.0052 0.175
```
Forces are in eV/Å.

Output
Gap between HOMO and LUMO in eV: 10.28
Net charge: 0
E_tot in eV: -13409.52023
Relative energy (zero: lowest compared OMol25 entry of this formula, charge and spin) in kcal/mol: 30.7
SMILES: C=NS


Entry 3:
# C4H7NO

A molecular structure, C4H7NO (ωB97M-V/def2-TZVPD, OMol25).

```
13
Properties=species:S:1:pos:R:3:forces:R:3:mulliken_charge:R:1
C -1.043 0.174 1.412 0.0189 -0.0547 -0.0588 -1.085
C -0.169 -0.250 0.257 -0.2394 0.3035 0.6688 0.974
O 1.110 -0.850 0.470 -0.3248 -0.1677 0.4566 -0.475
C 0.259 0.447 -0.950 0.1957 0.1388 -0.2454 -0.335
C 1.609 -0.214 -0.725 0.2697 0.2292 -0.6158 -0.397
N -0.653 -0.731 -1.025 -0.2093 0.0506 -0.2790 -0.707
H -1.175 -0.623 2.158 0.0954 0.1001 -0.3338 0.330
H -2.034 0.442 1.019 0.2402 -0.0650 0.1513 0.305
H -0.636 1.056 1.931 0.0023 -0.3554 -0.2248 0.234
H 0.010 1.439 -1.308 0.0120 -0.2242 -0.0921 0.392
H 2.454 0.446 -0.503 -0.1793 -0.0437 0.0391 0.269
H 1.865 -0.932 -1.515 0.0749 0.0690 0.2761 0.249
H -1.596 -0.403 -1.221 0.0435 0.0195 0.2579 0.245
```
********
It was a lot more intimate and it meant I made friends a lot more quickly. When I walked through campus every day there were people everywhere saying ‘hi’. It was so friendly.
The international students had trips arranged during the year. I went on a spring break trip to the Smokey Mountains in Tennessee with South Americans, Asians and Europeans and it meant we all cooked different foods I had never tried before. It was a great experience.
Sport on campus was also an eye opener. We went to watch the NKU Norse basketball team play at the arena (which holds 10,000 people) and tickets were free. They were playing their rivals from the University of Cincinnati and weren’t expected to win. The campus is alcohol free but this was a huge game and so there were tailgate parties in the car park. NKU won and I had never seen scenes like it.
I made a best friend, Kayla, who is now here at DMU on exchange. She was one of my room mates and for the Labor Day holiday in September I went to her family’s lakeside retreat and went on their boat – it was incredible. I also went to Frat Parties and celebrated Halloween – I went as a student from Ravenclaw in Harry Potter. I stayed at Kayla’s house a few more times and now the roles have reversed. She has been to see my family in Milton Keynes and we have had trips to London together. She is a friend for life.
I would say to any student considering an exchange to go for it. I had to take funding the trip into consideration and think about how much I could spend each day, but it is manageable. It is by no means cheap to go to the US. But it is not as much as people might think.
-- Misplaced records of molecules --
********
Formula: C26H34Cl2NO7SSn
Source: OMol25
Level of theory: the ωB97M-V functional and the def2-TZVPD basis

Geometry (Å):
Sn -0.939 -0.231 -2.586
C 0.611 2.566 -3.235
C -0.480 3.090 -2.333
O -1.611 2.220 -2.352
C -2.706 2.571 -3.216
C -2.408 2.269 -4.668
O -1.870 0.946 -4.711
C -1.424 0.522 -5.997
C -0.695 -0.788 -5.785
O 0.228 -0.689 -4.677
C 1.399 0.101 -4.948
C 1.937 0.574 -3.619
O 0.882 1.196 -2.846
H 1.524 3.150 -3.107
H 0.314 2.588 -4.284
H -0.755 4.104 -2.630
H -0.127 3.117 -1.302
H -2.965 3.622 -3.081
H -3.543 1.963 -2.873
H -1.692 2.974 -5.102
H -3.332 2.327 -5.249
H -0.783 1.292 -6.437
H -2.268 0.366 -6.674
H -0.166 -1.098 -6.687
H -1.396 -1.575 -5.507
H 1.140 0.942 -5.593
H 2.145 -0.508 -5.463
H 2.759 1.278 -3.749
H 2.286 -0.261 -3.019
O 0.464 -1.823 -1.893
S 1.678 -2.712 -2.268
C 1.055 -4.315 -2.790
C 2.216 -5.237 -2.431
C 2.701 -4.855 -1.015
C 2.277 -3.405 -0.711
H 0.815 -4.288 -3.850
H 0.155 -4.507 -2.201
H 3.021 -5.119 -3.158
H 1.895 -6.275 -2.483
H 3.780 -4.965 -0.939
H 2.259 -5.510 -0.268
H 3.077 -2.774 -0.331
H 1.419 -3.344 -0.039
Cl 1.349 3.459 6.247
C 1.541 1.814 6.744
C 2.358 1.499 7.813
C 2.496 0.170 8.185
C 1.859 -0.839 7.480
C 1.048 -0.516 6.405
Cl 0.369 -1.789 5.449
C 0.847 0.819 6.057
N 0.017 1.213 4.968
C -1.252 0.928 4.787
C -2.010 0.240 5.776
C -3.299 -0.086 5.531
C -3.956 0.219 4.280
C -3.305 0.909 3.337
C -1.934 1.367 3.543
C -1.352 2.156 2.623
C 0.149 0.344 1.106
O -0.553 0.459 0.181
O 0.888 0.196 1.976
H 2.870 2.286 8.348
H 3.124 -0.085 9.028
H 2.004 -1.877 7.742
H 0.469 1.833 4.309
H -1.549 0.012 6.725
H -3.870 -0.587 6.302
H -4.986 -0.079 4.144
H -3.794 1.202 2.417
H -0.450 2.730 2.809
H -1.952 2.505 1.791

Forces on atoms 1 to 2 (eV/Å):
Sn 0.00 -0.13 -0.32
C 0.01 0.00 0.01

## Properties
Net charge: +3
Orbital gap (eV): 6.62

=====

Formula: C26H34ClFeO2
Source: OMol25
Level of theory: the ωB97M-V functional and the def2-TZVPD basis

Geometry (Å):
O -0.204 2.752 -3.429
C 0.352 4.097 -3.707
C -0.876 4.825 -3.218
H 0.560 4.185 -4.771
H 1.233 4.344 -3.096
C -1.437 3.397 -2.992
H -1.367 5.490 -3.945
H -0.829 5.290 -2.219
C -2.602 2.983 -3.925
H -2.198 2.645 -4.906
H -3.237 3.855 -4.061
H -3.187 2.208 -3.415
C -1.623 3.256 -1.484
H -0.777 3.774 -0.994
H -1.666 2.213 -1.136
H -2.563 3.750 -1.203
Fe 0.448 -0.386 0.890
C 0.902 1.954 2.813
C 2.178 1.440 2.529
C 2.271 1.199 1.127
H 2.978 1.261 3.263
C 1.019 1.618 0.506
C 0.176 2.093 1.605
H -0.763 2.628 1.464
H 0.533 2.217 3.815
H 3.171 0.964 0.549
H 0.876 1.769 -0.565
C -1.697 -0.778 3.079
C -1.830 0.358 2.259
C -1.707 -0.031 0.877
H -2.100 1.352 2.606
C -1.477 -1.488 0.880
C -1.524 -1.911 2.247
H -1.533 -2.943 2.573
H -1.751 -0.781 4.160
H -2.002 0.526 -0.006
H -1.508 -2.120 -0.011
O 0.499 -1.020 -1.379
C -0.394 -0.636 -2.495
C 0.118 -1.359 -3.762
H -0.395 0.453 -2.632
H -1.437 -0.888 -2.235
C 1.183 -2.360 -3.297
H 0.532 -0.654 -4.485
H -0.686 -1.896 -4.251
C 1.181 -2.282 -1.766
H 2.140 -2.061 -3.733
H 1.004 -3.385 -3.633
H 2.183 -2.299 -1.331
H 0.590 -3.129 -1.361
********
My family and friends have certainly seen a change in me since I got back in the summer. They can see I am more confident and after a year at NKU I seem to be an even happier person.